File:
-- begin --
Starting from DFT lattice parameters and positions (GGA-PBE), the powder XRD pattern of Li6TlGe was simulated for Cu Kα (weighted mean of Kα1 and Kα2).
Kinematic intensities with the Lorentz-polarization factor, no thermal factor.

Main lines, by intensity (10 to 90 degrees two-theta):
- (1 1 1), 25.87 deg, d = 3.443 Å, I 100
- (0 1 1), 17.34 deg, d = 5.113 Å, I 66
- (1 0 2), 26.08 deg, d = 3.417 Å, I 49
- (1 2 2), 40.24 deg, d = 2.241 Å, I 42
- (0 1 3), 30.63 deg, d = 2.919 Å, I 41
- (0 0 2), 17.64 deg, d = 5.028 Å, I 32
- (0 2 0), 30.10 deg, d = 2.969 Å, I 21
- (2 1 3), 50.10 deg, d = 1.821 Å, I 21
- (1 0 4), 40.78 deg, d = 2.212 Å, I 20
- (0 4 0), 62.55 deg, d = 1.485 Å, I 17

Atomic structure:
```
data_Li6TlGe
_chemical_formula_sum 'Li12 Tl2 Ge2'
_symmetry_space_group_name_H-M 'A m m 2'
_symmetry_Int_Tables_number 38
_symmetry_space_group_name_Hall 'A 2 -2'
_cell_length_a 4.658
_cell_length_b 5.937
_cell_length_c 10.057
_cell_angle_alpha 90.00
_cell_angle_beta 90.00
_cell_angle_gamma 90.00
loop_
_atom_site_label
_atom_site_type_symbol
_atom_site_fract_x
_atom_site_fract_y
_atom_site_fract_z
_atom_site_occupancy
Li1 Li 0.000 0.000 0.000 1
Li2 Li 0.000 0.228 0.768 1
Li3 Li 0.500 0.000 0.339 1
Li4 Li 0.500 0.247 0.589 1
Tl1 Tl 0.000 0.000 0.509 1
Ge1 Ge 0.500 0.000 0.842 1
```

* * * * *

Starting from a DFT-relaxed cell (GGA+U, Alexandria), the X-ray diffraction stick pattern of MnAlB2Pb2O8 was calculated for Cu Ka.

Largest 10 diffraction maxima, by angle, 2θ from 10° to 90°:
index	d_spacing	I/Imax
1 0 0	4.961	100.0
1 0 -2	4.764	42.8
0 2 0	3.568	62.6
0 2 1	3.271	52.8
1 1 1	3.123	61.4
1 2 -1	3.064	47.9
1 1 -3	3.024	85.8
1 2 0	2.893	43.4
2 1 -3	2.594	46.3
0 1 3	2.570	49.1

Structural model:
Cell lengths 6.0134, 7.1229, 10.0187 Å; angles 90.00, 124.41, 90.00 degrees
Positions (direct):
Mn 0.0000 0.0000 0.0000
Mn 0.0000 0.5000 0.5000
Al 0.5000 0.0000 0.0000
Al 0.5000 0.5000 0.5000
B 0.4977 0.2185 0.2631
B 0.4977 0.2815 0.7631
B 0.5023 0.7185 0.2369
B 0.5023 0.7815 0.7369
Pb 0.0917 0.0712 0.3592
Pb 0.0917 0.4288 0.8592
Pb 0.9083 0.5712 0.1408
Pb 0.9083 0.9288 0.6408
O 0.1497 0.0963 0.8892
O 0.1497 0.4037 0.3892
O 0.2262 0.1688 0.1880
O 0.2262 0.3312 0.6880
O 0.3705 0.6636 0.3086
O 0.3705 0.8364 0.8086
O 0.3751 0.6826 0.5942
O 0.3751 0.8174 0.0942
O 0.6249 0.1826 0.9058
O 0.6249 0.3174 0.4058
O 0.6295 0.1636 0.1914
O 0.6295 0.3364 0.6914
O 0.7738 0.6688 0.3120
O 0.7738 0.8312 0.8120
O 0.8503 0.5963 0.6108
O 0.8503 0.9037 0.1108



Starting from a DFT-relaxed cell (GGA+U, Alexandria), the X-ray diffraction stick pattern of YMn2AlB2O8 was calculated for Cu Ka.

Largest 10 diffraction maxima, by angle, 2θ from 10° to 90°:
index	d_spacing	I/Imax
0 1 1	6.805	21.0
0 1 2	4.237	39.3
0 1 3	2.981	25.2
1 2 -1	2.787	100.0
0 3 2	2.697	34.4
1 2 0	2.673	16.6
0 2 3	2.643	44.4
1 3 2	1.886	14.6
2 0 -2	1.687	17.3
1 4 -4	1.679	14.6

Structural model:
Cell lengths 3.3748, 9.8892, 9.9506 Å; angles 90.00, 109.52, 90.00 degrees
Positions (direct):
Y 0.0000 0.1422 0.0000
Y 0.0000 0.8578 0.5000
Mn 0.2462 0.3517 0.7611
Mn 0.2462 0.6483 0.2611
Mn 0.4090 0.1697 0.4017
Mn 0.4090 0.8303 0.9017
Al 0.6975 0.3694 0.1630
Al 0.6975 0.6306 0.6630
B 0.7146 0.0629 0.7151
B 0.7146 0.9371 0.2151
B 0.8710 0.4186 0.4595
B 0.8710 0.5814 0.9595
O 0.2197 0.2808 0.2032
O 0.2197 0.7192 0.7032
O 0.4823 0.2834 0.9841
O 0.4823 0.7166 0.4841
O 0.5761 0.0146 0.5768
O 0.5761 0.9854 0.0768
O 0.7415 0.1994 0.7518
O 0.7415 0.8006 0.2518
O 0.7654 0.4839 0.3264
O 0.7654 0.5161 0.8264
O 0.8379 0.0280 0.3277
O 0.8379 0.9720 0.8277
O 0.8635 0.4802 0.5842
O 0.8635 0.5198 0.0842
O 0.9877 0.2850 0.4733
O 0.9877 0.7150 0.9733
-- stop --
Request:
Could you type out only the last part of the contents above, starting with the line that has "46.3"?
Worked solution:
2 1 -3	2.594	46.3
0 1 3	2.570	49.1

Structural model:
Cell lengths 6.0134, 7.1229, 10.0187 Å; angles 90.00, 124.41, 90.00 degrees
Positions (direct):
Mn 0.0000 0.0000 0.0000
Mn 0.0000 0.5000 0.5000
Al 0.5000 0.0000 0.0000
Al 0.5000 0.5000 0.5000
B 0.4977 0.2185 0.2631
B 0.4977 0.2815 0.7631
B 0.5023 0.7185 0.2369
B 0.5023 0.7815 0.7369
Pb 0.0917 0.0712 0.3592
Pb 0.0917 0.4288 0.8592
Pb 0.9083 0.5712 0.1408
Pb 0.9083 0.9288 0.6408
O 0.1497 0.0963 0.8892
O 0.1497 0.4037 0.3892
O 0.2262 0.1688 0.1880
O 0.2262 0.3312 0.6880
O 0.3705 0.6636 0.3086
O 0.3705 0.8364 0.8086
O 0.3751 0.6826 0.5942
O 0.3751 0.8174 0.0942
O 0.6249 0.1826 0.9058
O 0.6249 0.3174 0.4058
O 0.6295 0.1636 0.1914
O 0.6295 0.3364 0.6914
O 0.7738 0.6688 0.3120
O 0.7738 0.8312 0.8120
O 0.8503 0.5963 0.6108
O 0.8503 0.9037 0.1108



Starting from a DFT-relaxed cell (GGA+U, Alexandria), the X-ray diffraction stick pattern of YMn2AlB2O8 was calculated for Cu Ka.

Largest 10 diffraction maxima, by angle, 2θ from 10° to 90°:
index	d_spacing	I/Imax
0 1 1	6.805	21.0
0 1 2	4.237	39.3
0 1 3	2.981	25.2
1 2 -1	2.787	100.0
0 3 2	2.697	34.4
1 2 0	2.673	16.6
0 2 3	2.643	44.4
1 3 2	1.886	14.6
2 0 -2	1.687	17.3
1 4 -4	1.679	14.6

Structural model:
Cell lengths 3.3748, 9.8892, 9.9506 Å; angles 90.00, 109.52, 90.00 degrees
Positions (direct):
Y 0.0000 0.1422 0.0000
Y 0.0000 0.8578 0.5000
Mn 0.2462 0.3517 0.7611
Mn 0.2462 0.6483 0.2611
Mn 0.4090 0.1697 0.4017
Mn 0.4090 0.8303 0.9017
Al 0.6975 0.3694 0.1630
Al 0.6975 0.6306 0.6630
B 0.7146 0.0629 0.7151
B 0.7146 0.9371 0.2151
B 0.8710 0.4186 0.4595
B 0.8710 0.5814 0.9595
O 0.2197 0.2808 0.2032
O 0.2197 0.7192 0.7032
O 0.4823 0.2834 0.9841
O 0.4823 0.7166 0.4841
O 0.5761 0.0146 0.5768
O 0.5761 0.9854 0.0768
O 0.7415 0.1994 0.7518
O 0.7415 0.8006 0.2518
O 0.7654 0.4839 0.3264
O 0.7654 0.5161 0.8264
O 0.8379 0.0280 0.3277
O 0.8379 0.9720 0.8277
O 0.8635 0.4802 0.5842
O 0.8635 0.5198 0.0842
O 0.9877 0.2850 0.4733
O 0.9877 0.7150 0.9733